Integrating Scholarly Repository Services

Integrating Scholarly Repository
Services into Consortial Organizations
and Statewide University Systems
Marlee Givens & Keith Gilbertson
Georgia Institute of Technology
GALILEO Knowledge Repository (GKR)
• GALILEO: GeorgiA LIbrary LEarning Online
• Proposing a system-wide approach to institutional
repositories as well as a collaborative strategy for
promoting open access to scholarly information
• Concept developed by Regents Advisory Committee
on Libraries (RACL) in August 2004
• IMLS National Leadership grant awarded 2009,
Leads: Georgia Institute of Technology (GT) &
University of Georgia (UGA)
Institutions / Libraries involved
Albany State University
Georgia State University
College of Coastal Georgia
Georgia Southern University
Georgia Institute of Technology
Kennesaw State University
Medical College of Georgia
University of Georgia
Valdosta State University
North Georgia College and State University (SC survey)
GKR project components
• Build a repository of standardized metadata harvested
from Institutional Repositories (IRs) within the USG
• Hosting service for IRs at four USG institutions
• Establish IR-related services: copyright research;
digitization; content submission; and preservation
• Partner with NGCSU to conduct an assessment survey of
the USG faculty’s usage and perceptions of IRs
• Document and make available the GKR organization model
to others interested in establishing statewide IRs
• Develop and implement a statewide and consortial
repositories symposium and workshop
GKR: harvested metadata repository
• Keyword search
• Browse by title or
GKR: harvested metadata repository
• Browse by discipline
IR-related services
• To reduce barriers to recruiting scholarly content
 Copyright research
 Digitization
 Content submission
 Preservation
• Services resulted from the USG-wide GKR
stakeholder meeting of November 30, 2007
Hosted site implementations
• DSpace 1.6+
• In production September/October 2010
 Albany State University: Ram Scholar
 Medical College of Georgia: MCG Scholar
• Soon to come
 College of Coastal Georgia
 Georgia Gwinnett College
• Open source software for building digital repositories
• Capture items of any format and their associated
metadata, distribute them over the Web (Google,
OAI-PMH), index them for search and retrieval
• Customizable user interface (Manakin (XMLUI),
based upon the Apache Cocoon framework)
• Community > Collection > Item hierarchy
Default Manakin (XMLUI) theme
Theming with the DSpace xmlui
Unrelated to this page: records of crystals >
<<<
Compound: Cs3SnAs
Source: Alexandria via LeMat-Bulk
Functional: PBE-GGA
Structure: optimized geometry

```
Cs3SnAs
1.0
6.5252 -5.7869 0.0000
6.5252 5.7869 0.0000
-6.4583 0.0000 7.0607
Cs Sn As
6 2 2
Cartesian
-1.4927 0.0000 2.5789 Cs
2.0673 2.2048 1.5745 Cs
2.0673 -2.2048 1.5745 Cs
4.5247 2.2048 5.4861 Cs
4.5247 -2.2048 5.4861 Cs
8.0847 0.0000 4.4817 Cs
0.8970 0.0000 5.4052 Sn
5.6950 0.0000 1.6555 Sn
-1.7317 0.0000 6.1921 As
8.3237 0.0000 0.8685 As
```

- Calculated formation energy: -1.1 eV per formula unit
- Symmetry: C2/m (12)
- Density of states at the Fermi level: 0.507 states/eV per atom
- Offset from the most stable computed form: 0 meV per atom
- Total energy: -2.46 eV/atom
- Magnetization: 0.46 μB per cell
>>>
The page goes on >
The Big, Bubbly Ribbon
“New” Albany State Theme
Thank you Jeff Craft (OhioLINK), Kent State,
Bill Anderson (Georgia Tech)!
Medical College of Georgia, Strike 1
Medical College of Georgia, Strike 2
Medical College of Georgia
Medical College of Georgia
Harvesting process (original prototype)
• Metadata from member repositories were pulled
into the central GKR metadata repository using:
 PKP Harvester component
 MySQL data dump of harvested metadata
 Shell and awk scripts to format dumped metadata
 Command Line DSpace Import (check for errors and
repeat if necessary)
Current Process (DSpace 1.6 Harvester)
Click the
Thank you Texas
Special LITA2010 Cloud and Crowd!
_Calculated crystals that have nothing to do with the article_
=====
VIrRu2O | GGA+U | relaxed

abc: 4.535 4.535 4.549
angles: 90.00 90.00 90.00
Atoms (fractional coordinates):
V (0.000, 0.000, 0.000)
Ir (0.000, 0.000, 0.500)
Ru (0.000, 0.500, 0.000)
Ru (0.500, 0.000, 0.000)
O (0.500, 0.500, 0.500)

Properties
* VASP energy: -5.81 eV per atom
* energy relative to the lowest polymorph listed for this composition: 1996 meV per atom
* M_tot: 4.5 μB per formula unit
* crystal system: tetragonal
* space-group type: P4/mmm (123)
=====
• No cloud usage planned
for this project, but
blessing to experiment
• Cloud repositories being • Imaginary repository
“crowd” features –
pioneered by OhioLINK
• Near-automatic export of
DRC team
media items to flickr,
YouTube, etc.
• New DuraCloud service
• Automatic import of
from DuraSpace
crowd generated
metadata (tags) from
external sites
Giving back
• The open source way
Attached: crystal structures:
********
1.
DFT (PBE-GGA) results for a relaxed TcRu3Rh3 crystal.

Summary:
The total moment is 0.0 μB per cell. The calculation puts the electronic total energy at -8.65 eV/atom.

a b c (Å): 7.2495 7.2495 4.3290
angles (deg): 90.00 90.00 120.00
With the nearest neighbours (Å) after each atom.
Space group P6_3/m (No. 176)
Unique sites:
Tc  0.3333  0.6667  0.2500 x2  9 Ru 2.68-2.74, 3 Rh 2.73
Ru  0.0951  0.4785  0.7500 x6  4 Ru 2.67-2.73, 5 Rh 2.68-2.77, 3 Tc 2.68-2.74
Rh  0.0461  0.2411  0.2500 x6  5 Ru 2.68-2.77, 6 Rh 2.70-2.78, 1 Tc 2.73

=====

2.
DFT (PBE-GGA) results for a relaxed TcRuRh crystal.

Summary:
The total moment is 0.0 μB per cell. The excess energy over the best structure of this formula in the dataset comes out at 431 meV/atom. The calculation puts the electronic total energy at -8.68 eV/atom.

a b c (Å): 3.2471 3.2471 8.2816
angles (deg): 90.00 90.00 90.00
With the nearest neighbours (Å) after each atom.
Space group I4mm (No. 107)
Unique sites:
Tc  0.0000  0.0000  0.0000 x2  5 Ru 2.64-2.83, 5 Rh 2.69-2.74
Ru  0.0000  0.0000  0.6582 x2  5 Tc 2.64-2.83, 5 Rh 2.70-2.71
Rh  0.0000  0.0000  0.3308 x2  5 Tc 2.69-2.74, 5 Ru 2.70-2.71

=====

These records have ΔE_f values of -44, 317 meV/atom, in the order they appear.
********
 Allows others to benefit from our
time/mistakes/innovations, just as we benefit from
 Relieves some of the maintenance burden from our
project, allowing the community to perform updates
and fixes for us
Minor Bug Fixes
• Import full-text articles from PubMed Central
 Allow large file downloads (such as full-length
videos) in xmlui without retaining database
 Allow imports of many items with many files in each
item on systems with lower MAX_OPEN FILES
 Others?
PubMed Central Open Access Import
• Import full-text articles from PubMed Central
 Innovation by Scott Lapinski at Harvard Medical
School Library
 Find and download articles
 Limit to open access records only
 Convert metadata into DSpace format and import
Thank you Scott Lapinski! (Harvard Medical School)
Text Extraction Media Filter for
PowerPoint Files
• Create files with extracted text from PowerPoint
 Enables full-text style searching of presentations
 Compatible with OLE2 (.ppt) and OOXML (.pptx) files
 Extracts text from the visible slides and from the
slide notes
Reminder from Richard Jizba (Creighton University)
Mapping Tool
• Technical
 Meant to work with all repository platforms
with the concept of a collection (aka set, group)
 Perl application
 Java code for integration with DSpace (GKR
metadata repository)
Thank you Brad Baxter (University of Georgia)
Mapping Tool: browsing by discipline
Thanks Brad Baxter (University of Georgia)
Mapping Tool
Mapped collections
• GKR Project Site:
• Training and Staging Site:
Marlee Givens, GKR Manager
Keith Gilbertson, DSpace Technical Lead